**Contents**
........
Record 1
Li2TiV5O12 | Materials Project | GGA+U | relaxed; formation enthalpy at 0 K = -2.58 eV/atom; volume = 11.92 A^3/atom; E_tot = -7.564 eV per atom; SG = C2, No. 5; mass density = 3.5 Mg/m³
1.0
6.8661 -0.6029 -0.0908
-1.3306 6.7628 0.0908
-1.6256 1.4608 5.2592
Li Ti V O
2 1 5 12
Direct
0.3078 0.3078 0.2500
0.6955 0.6955 0.7500
0.9223 0.9223 0.2500
0.0762 0.0763 0.7500
0.1750 0.6321 0.6840
0.3641 0.8330 0.1788
0.6321 0.1750 0.8160
0.8330 0.3641 0.3212
0.9841 0.8069 0.6472
0.0368 0.3548 0.7027
0.1834 0.0318 0.1223
0.3928 0.6949 0.5514
0.3548 0.0368 0.7974
0.2898 0.5995 0.0348
0.6949 0.3928 0.9486
0.6567 0.9622 0.2116
0.5995 0.2898 0.4652
0.8069 0.9841 0.8528
0.9622 0.6567 0.2884
0.0318 0.1834 0.3777



Record 2
Li2TiV2O6 | Materials Project | GGA+U | relaxed; formation enthalpy at 0 K = -2.74 eV/atom; volume = 10.47 A^3/atom; E_tot = -7.467 eV per atom; SG = P2_1/m, No. 11; mass density = 3.7 Mg/m³
1.0
-0.5299 -2.7966 -0.8750
-2.2069 -3.4934 12.4998
-5.9263 0.9191 0.6511
Li Ti V O
4 2 4 12
Direct
0.4999 0.1754 0.6789
0.9999 0.6710 0.1777
0.5000 0.4959 0.9893
0.0000 0.9912 0.4874
0.0000 0.3370 0.3285
0.5000 0.8299 0.8377
0.0000 0.9943 0.0137
0.5000 0.1724 0.1528
0.5000 0.4949 0.5191
0.0000 0.6716 0.6480
0.0000 0.4902 0.2762
0.4999 0.9874 0.7785
0.0000 0.1793 0.3875
0.5001 0.6765 0.8908
0.5000 0.3360 0.1172
0.0000 0.8312 0.6187
0.5000 0.3354 0.5480
0.0000 0.8309 0.0493
0.0000 0.1562 0.9380
0.5000 0.6544 0.4312
0.5000 0.0100 0.2292
0.0000 0.5122 0.7357



Look up the formation enthalpy at 0 K of the first one. -2.58 eV/atom



Which of these has the highest mass density? Li2TiV2O6



Which value of E_tot does entry 2 give? -7.467 eV per atom



mass density of number 1 (Li2TiV5O12)? 3.5 Mg/m³


# KErO2 GGA-PBE optimized geometry
# Calculated total energy   -6.69 eV per atom
# Energy with MP2020 corrections   -84.44 eV/cell
# Formation energy from the elements   -3.14 eV per atom
data_KErO2
_cell_length_a 3.4460
_cell_length_b 3.4460
_cell_length_c 18.7552
_cell_angle_alpha 90.00
_cell_angle_beta 90.00
_cell_angle_gamma 120.00
_symmetry_space_group_name_H-M 'R -3 m'
_symmetry_Int_Tables_number 166
_symmetry_space_group_name_Hall '-R 3 2"'
loop_
_atom_site_label
_atom_site_type_symbol
_atom_site_fract_x
_atom_site_fract_y
_atom_site_fract_z
K1 K 0.0000 0.0000 0.0000
Er1 Er 0.0000 0.0000 0.5000
O1 O 0.0000 0.0000 0.2279
........

**Job**
It remains to start at the top of the calculation results earlier on and quote each line, ending with the one that has "data_KErO2".

**Outcome**
Record 1
Li2TiV5O12 | Materials Project | GGA+U | relaxed; formation enthalpy at 0 K = -2.58 eV/atom; volume = 11.92 A^3/atom; E_tot = -7.564 eV per atom; SG = C2, No. 5; mass density = 3.5 Mg/m³
1.0
6.8661 -0.6029 -0.0908
-1.3306 6.7628 0.0908
-1.6256 1.4608 5.2592
Li Ti V O
2 1 5 12
Direct
0.3078 0.3078 0.2500
0.6955 0.6955 0.7500
0.9223 0.9223 0.2500
0.0762 0.0763 0.7500
0.1750 0.6321 0.6840
0.3641 0.8330 0.1788
0.6321 0.1750 0.8160
0.8330 0.3641 0.3212
0.9841 0.8069 0.6472
0.0368 0.3548 0.7027
0.1834 0.0318 0.1223
0.3928 0.6949 0.5514
0.3548 0.0368 0.7974
0.2898 0.5995 0.0348
0.6949 0.3928 0.9486
0.6567 0.9622 0.2116
0.5995 0.2898 0.4652
0.8069 0.9841 0.8528
0.9622 0.6567 0.2884
0.0318 0.1834 0.3777



Record 2
Li2TiV2O6 | Materials Project | GGA+U | relaxed; formation enthalpy at 0 K = -2.74 eV/atom; volume = 10.47 A^3/atom; E_tot = -7.467 eV per atom; SG = P2_1/m, No. 11; mass density = 3.7 Mg/m³
1.0
-0.5299 -2.7966 -0.8750
-2.2069 -3.4934 12.4998
-5.9263 0.9191 0.6511
Li Ti V O
4 2 4 12
Direct
0.4999 0.1754 0.6789
0.9999 0.6710 0.1777
0.5000 0.4959 0.9893
0.0000 0.9912 0.4874
0.0000 0.3370 0.3285
0.5000 0.8299 0.8377
0.0000 0.9943 0.0137
0.5000 0.1724 0.1528
0.5000 0.4949 0.5191
0.0000 0.6716 0.6480
0.0000 0.4902 0.2762
0.4999 0.9874 0.7785
0.0000 0.1793 0.3875
0.5001 0.6765 0.8908
0.5000 0.3360 0.1172
0.0000 0.8312 0.6187
0.5000 0.3354 0.5480
0.0000 0.8309 0.0493
0.0000 0.1562 0.9380
0.5000 0.6544 0.4312
0.5000 0.0100 0.2292
0.0000 0.5122 0.7357



Look up the formation enthalpy at 0 K of the first one. -2.58 eV/atom



Which of these has the highest mass density? Li2TiV2O6



Which value of E_tot does entry 2 give? -7.467 eV per atom



mass density of number 1 (Li2TiV5O12)? 3.5 Mg/m³


# KErO2 GGA-PBE optimized geometry
# Calculated total energy   -6.69 eV per atom
# Energy with MP2020 corrections   -84.44 eV/cell
# Formation energy from the elements   -3.14 eV per atom
data_KErO2